Entry 1:
This entry pairs a crystal structure of Sr2HoTcO6 with its theoretical X-ray diffraction stick pattern. Radiation: copper Kα. Structure: DFT lattice parameters and positions (GGA-PBE).

Structure:
```
data_Sr2HoTcO6
_chemical_formula_sum 'Sr4 Ho2 Tc2 O12'
_cell_length_a 5.810
_cell_length_b 5.873
_cell_length_c 10.060
_cell_angle_alpha 90.00
_cell_angle_beta 124.99
_cell_angle_gamma 90.00
_symmetry_space_group_name_H-M 'P 1 21/c 1'
_symmetry_Int_Tables_number 14
_symmetry_space_group_name_Hall '-P 2ybc'
loop_
_atom_site_label
_atom_site_fract_x
_atom_site_fract_y
_atom_site_fract_z
Sr1 0.242 0.035 0.250
Ho1 0.500 0.000 0.000
Tc1 0.000 0.000 0.500
O1 0.158 0.228 0.960
O2 0.233 0.700 0.962
O3 0.308 0.019 0.735
```

Most intense lines, 5° ≤ 2θ ≤ 70°, by angle:
21.53 deg, rel. 21, hkl 1 1 -1; 30.44 deg, rel. 33, hkl 0 2 0; 30.59 deg, rel. 68, hkl 1 1 1; 30.73 deg, rel. 100, hkl 1 1 -3; 43.84 deg, rel. 37, hkl 2 2 -2; 43.94 deg, rel. 19, hkl 0 0 4; 54.22 deg, rel. 24, hkl 1 3 -3; 54.42 deg, rel. 22, hkl 2 0 2; 54.54 deg, rel. 15, hkl 3 1 -1; 54.75 deg, rel. 22, hkl 3 1 -5; 63.68 deg, rel. 11, hkl 2 2 2; 63.94 deg, rel. 11, hkl 2 2 -6



Entry 2:
This entry pairs a crystal structure of RbAuBr3 with its theoretical X-ray diffraction stick pattern. Radiation: copper Kα. Structure: DFT lattice parameters and positions (GGA-PBE).

Structure:
```
data_RbAuBr3
_chemical_formula_sum 'Rb8 Au8 Br24'
_cell_length_a 10.650
_cell_length_b 16.874
_cell_length_c 8.137
_cell_angle_alpha 90.00
_cell_angle_beta 90.00
_cell_angle_gamma 90.00
_symmetry_space_group_name_H-M 'C m c e'
_symmetry_Int_Tables_number 64
_symmetry_space_group_name_Hall '-C 2ac 2'
loop_
_atom_site_label
_atom_site_fract_x
_atom_site_fract_y
_atom_site_fract_z
Rb1 0.250 0.163 0.250
Au1 0.000 0.105 0.692
Br1 0.000 0.036 0.223
Br2 0.000 0.235 0.551
Br3 0.250 0.117 0.750
```

Most intense lines, 5° ≤ 2θ ≤ 70°, by angle:
15.13 deg, rel. 74, hkl 0 2 1; 16.65 deg, rel. 48, hkl 2 0 0; 21.85 deg, rel. 77, hkl 0 0 2; 22.57 deg, rel. 52, hkl 2 2 1; 24.00 deg, rel. 41, hkl 1 1 2; 29.59 deg, rel. 55, hkl 2 2 2; 30.53 deg, rel. 46, hkl 0 4 2; 33.68 deg, rel. 100, hkl 4 0 0; 40.49 deg, rel. 31, hkl 4 0 2; 44.36 deg, rel. 31, hkl 0 8 1; 46.07 deg, rel. 29, hkl 4 4 2; 48.36 deg, rel. 52, hkl 1 3 4



Entry 3:
This entry pairs a crystal structure of KCaSbO4 with its theoretical X-ray diffraction stick pattern. Radiation: copper Kα. Structure: DFT lattice parameters and positions (GGA-PBE).

Structure:
```
data_KCaSbO4
_chemical_formula_sum 'K4 Ca4 Sb4 O16'
_cell_length_a 6.419
_cell_length_b 7.250
_cell_length_c 9.649
_cell_angle_alpha 90.00
_cell_angle_beta 90.00
_cell_angle_gamma 90.00
_symmetry_space_group_name_H-M 'I m m a'
_symmetry_Int_Tables_number 74
_symmetry_space_group_name_Hall '-I 2b 2'
loop_
_atom_site_label
_atom_site_fract_x
_atom_site_fract_y
_atom_site_fract_z
K1 0.250 0.250 0.250
Ca1 0.000 0.000 0.000
Sb1 0.000 0.250 0.639
O1 0.000 0.035 0.752
O2 0.244 0.250 0.520
```

Most intense lines, 5° ≤ 2θ ≤ 70°, by angle:
15.29 deg, rel. 49, hkl 0 1 1; 24.56 deg, rel. 31, hkl 0 2 0; 26.17 deg, rel. 100, hkl 1 1 2; 27.80 deg, rel. 23, hkl 2 0 0; 29.78 deg, rel. 76, hkl 1 2 1; 30.40 deg, rel. 28, hkl 0 1 3; 31.10 deg, rel. 47, hkl 1 0 3; 31.87 deg, rel. 79, hkl 2 1 1; 44.23 deg, rel. 24, hkl 1 3 2; 47.07 deg, rel. 20, hkl 0 3 3; 50.38 deg, rel. 33, hkl 0 4 0; 53.85 deg, rel. 55, hkl 2 2 4

Please transcribe the calculation results above word for word.

Entry 1:
This entry pairs a crystal structure of Sr2HoTcO6 with its theoretical X-ray diffraction stick pattern. Radiation: copper Kα. Structure: DFT lattice parameters and positions (GGA-PBE).

Structure:
```
data_Sr2HoTcO6
_chemical_formula_sum 'Sr4 Ho2 Tc2 O12'
_cell_length_a 5.810
_cell_length_b 5.873
_cell_length_c 10.060
_cell_angle_alpha 90.00
_cell_angle_beta 124.99
_cell_angle_gamma 90.00
_symmetry_space_group_name_H-M 'P 1 21/c 1'
_symmetry_Int_Tables_number 14
_symmetry_space_group_name_Hall '-P 2ybc'
loop_
_atom_site_label
_atom_site_fract_x
_atom_site_fract_y
_atom_site_fract_z
Sr1 0.242 0.035 0.250
Ho1 0.500 0.000 0.000
Tc1 0.000 0.000 0.500
O1 0.158 0.228 0.960
O2 0.233 0.700 0.962
O3 0.308 0.019 0.735
```

Most intense lines, 5° ≤ 2θ ≤ 70°, by angle:
21.53 deg, rel. 21, hkl 1 1 -1; 30.44 deg, rel. 33, hkl 0 2 0; 30.59 deg, rel. 68, hkl 1 1 1; 30.73 deg, rel. 100, hkl 1 1 -3; 43.84 deg, rel. 37, hkl 2 2 -2; 43.94 deg, rel. 19, hkl 0 0 4; 54.22 deg, rel. 24, hkl 1 3 -3; 54.42 deg, rel. 22, hkl 2 0 2; 54.54 deg, rel. 15, hkl 3 1 -1; 54.75 deg, rel. 22, hkl 3 1 -5; 63.68 deg, rel. 11, hkl 2 2 2; 63.94 deg, rel. 11, hkl 2 2 -6



Entry 2:
This entry pairs a crystal structure of RbAuBr3 with its theoretical X-ray diffraction stick pattern. Radiation: copper Kα. Structure: DFT lattice parameters and positions (GGA-PBE).

Structure:
```
data_RbAuBr3
_chemical_formula_sum 'Rb8 Au8 Br24'
_cell_length_a 10.650
_cell_length_b 16.874
_cell_length_c 8.137
_cell_angle_alpha 90.00
_cell_angle_beta 90.00
_cell_angle_gamma 90.00
_symmetry_space_group_name_H-M 'C m c e'
_symmetry_Int_Tables_number 64
_symmetry_space_group_name_Hall '-C 2ac 2'
loop_
_atom_site_label
_atom_site_fract_x
_atom_site_fract_y
_atom_site_fract_z
Rb1 0.250 0.163 0.250
Au1 0.000 0.105 0.692
Br1 0.000 0.036 0.223
Br2 0.000 0.235 0.551
Br3 0.250 0.117 0.750
```

Most intense lines, 5° ≤ 2θ ≤ 70°, by angle:
15.13 deg, rel. 74, hkl 0 2 1; 16.65 deg, rel. 48, hkl 2 0 0; 21.85 deg, rel. 77, hkl 0 0 2; 22.57 deg, rel. 52, hkl 2 2 1; 24.00 deg, rel. 41, hkl 1 1 2; 29.59 deg, rel. 55, hkl 2 2 2; 30.53 deg, rel. 46, hkl 0 4 2; 33.68 deg, rel. 100, hkl 4 0 0; 40.49 deg, rel. 31, hkl 4 0 2; 44.36 deg, rel. 31, hkl 0 8 1; 46.07 deg, rel. 29, hkl 4 4 2; 48.36 deg, rel. 52, hkl 1 3 4



Entry 3:
This entry pairs a crystal structure of KCaSbO4 with its theoretical X-ray diffraction stick pattern. Radiation: copper Kα. Structure: DFT lattice parameters and positions (GGA-PBE).

Structure:
```
data_KCaSbO4
_chemical_formula_sum 'K4 Ca4 Sb4 O16'
_cell_length_a 6.419
_cell_length_b 7.250
_cell_length_c 9.649
_cell_angle_alpha 90.00
_cell_angle_beta 90.00
_cell_angle_gamma 90.00
_symmetry_space_group_name_H-M 'I m m a'
_symmetry_Int_Tables_number 74
_symmetry_space_group_name_Hall '-I 2b 2'
loop_
_atom_site_label
_atom_site_fract_x
_atom_site_fract_y
_atom_site_fract_z
K1 0.250 0.250 0.250
Ca1 0.000 0.000 0.000
Sb1 0.000 0.250 0.639
O1 0.000 0.035 0.752
O2 0.244 0.250 0.520
```

Most intense lines, 5° ≤ 2θ ≤ 70°, by angle:
15.29 deg, rel. 49, hkl 0 1 1; 24.56 deg, rel. 31, hkl 0 2 0; 26.17 deg, rel. 100, hkl 1 1 2; 27.80 deg, rel. 23, hkl 2 0 0; 29.78 deg, rel. 76, hkl 1 2 1; 30.40 deg, rel. 28, hkl 0 1 3; 31.10 deg, rel. 47, hkl 1 0 3; 31.87 deg, rel. 79, hkl 2 1 1; 44.23 deg, rel. 24, hkl 1 3 2; 47.07 deg, rel. 20, hkl 0 3 3; 50.38 deg, rel. 33, hkl 0 4 0; 53.85 deg, rel. 55, hkl 2 2 4